I'd like the start this article with a quote from "Art & Fear", a book written by David Bayles and Ted Orland.
The ceramics teacher announced on opening day that he was dividing the class into two groups. All those on the left side of the studio, he said, would be graded solely on the quantity of work they produced, all those on the right solely on its quality. His procedure was simple: on the final day of class he would bring in his bathroom scales and weigh the work of the "quantity" group: fifty pound of pots rated an "A", forty pounds a "B", and so on. Those being graded on "quality", however, needed to produce only one pot – albeit a perfect one – to get an "A".
Well, came grading time and a curious fact emerged: the works of highest quality were all produced by the group being graded for quantity. It seems that while the "quantity" group was busily churning out piles of work – and learning from their mistakes – the "quality" group had sat theorizing about perfection, and in the end had little more to show for their efforts than grandiose theories and a pile of dead clay.
These two paragraphs are what inspired Tofugu's 500 Japanese Sentences (which later became 4500 Japanese Sentences). It's unfortunately not currently available, but it's a workbook that gives you a lot of Japanese sentences to translate, based off of words that are ordered by frequency of use. The focus, of course, is all on quantity, not quality. If you don't know how to translate something and can't figure it out quickly, move on. If you're confused, move on. If you're stuck, move on. Do what's at your ability level and what's slightly above it and skip the rest. It'll be there waiting for you on your second run through.
This goes against what most people are taught in school. In fact, there's a popular saying you've probably heard a lot: "Quality over quantity." It turns out, though, that quantity creates quality, and this can be applied to pretty much any skill you're trying to develop, Japanese included.
Let's Make Some Assumptions First

To understand why quantity trumps quality, we first have to come to a belief about how one acquires language. Today we're going to look at one particular hypothesis known as the "Input Hypothesis" by Stephen Krashen. That being said, it is just a hypothesis (not a thesis or a law!). But much of my support for it does come from personal experience, the experience of others, and a few poor souls that I've experimented on.
There are five parts to this hypothesis, but we're only going to look at one. It is:
Input Hypothesis: A learner's progress in their knowledge of the language when they comprehend language input that is slightly more advanced than their current level. Krashen called this level of input "i+1", where "i" is the language input and "+1" is the next stage of language acquisition.
I'll admit, there are some parts to this set of hypothesis that I don't like, but there are other ideas that I love. This will probably change tomorrow, but for now let's roll with it and take a look at what this has to do with quantity over quality.
+1 +1 +1 +1 +1 +1

The Input Hypothesis says that progression in the language that you're learning comes from when you can comprehend language input that is slightly above your current level. Comprehending something that is +1 above your current ability level isn't all that hard. It's only +1, after all. Comprehending something that is more than +1 is, according to this hypothesis, not a good use of your time. Trying to comprehend a sentence that is, for example, +10 above your current level likely won't teach you anything new. Mostly it'll befuddle you and make you frustrated.
While I don't think this is true in every situation, I do see where he's coming from. I follow a very similar philosophy with the lessons I write. Everything is +1 +1 +1 +1. Many small steps that build on each other. But, this is true when you look at the bigger picture too. Cut out some of the outliers and exceptions to the rule / hypothesis, and you see a lot of real-life examples pop up. Are any of these you?
Kanji Learning:
Quality: To learn a single kanji, you learn every single meaning and reading, and you also learn how to write the damn thing. With your precious hands. Arguably, these are all important things, and I do think that it's important to learn them all eventually. The "quality" group will learn kanji like this, one by one by one, and it will probably take a while.
Quantity: Instead of learning everything, you learn the bare minimum so that you can hurry up and learn the next kanji. In extreme cases, that just involves you learning the meaning of the kanji and that's it (Heisig's). In our corner (WaniKani), usually we have people learn just one meaning and one reading.
You skip a lot of information while studying with the quantity over quality method. But, there's a funny thing with kanji study that I see in student after student after student: the more kanji they know, the easier it is for them to learn the next kanji. There's a few reasons for this and I won't go into too much detail, but experience does beget experience. By cutting the fluff (removing less important readings, meanings, and handwriting) you end up with way more kanji "done" in the same amount of time.
This is important because you need a lot of kanji to be able to read real Japanese. Think of it this way. Say you're reading Japanese text (a blog, cooking site, book, manga, etc). You come across a compound jukugo word. If you don't know the meanings of the kanji already, you have to look that up, the readings, and then the meaning/reading of the word. Certainly not +1 (more like +4). That means it is too high above your level for you to naturally comprehend it. But, say you run across the same word and you know the meanings and readings of the kanji that make up the word. All you need is to look up the meaning of the word because you can read it already. Also, the meaning of the word is related to the meanings of the kanji. Something like that is +1. Or better yet, you guess the meaning of the word based off the meanings of the kanji. Without having to look anything up you know the meaning of that word. That's an easy +1.
Sure, you can do this in the quality camp as well. But, the opportunities for this to happen go down dramatically. Reading Japanese only to have to look up 75% of the kanji/words on the page is a very frustrating experience. But if you go the quantity route with kanji, you're setting yourself up to do a lot less of that. With quantity comes quality.
Sentence Studying:
Now let's look at sentence studying. The idea here is that you're using sentences to study / improve your Japanese. You read them and you translate them. Let's assume you're at an intermediate-ish level or above, or at the very least the sentences are tailored to your level. That being said, there are way fewer beginner-level sentences out there to study (compared to the plethora of real Japanese sentences that exist).
Quality: You spend a lot of time on each sentence. You try to learn and memorize every single word. You make sure every bit of grammar is absolutely perfect before moving on to the next one.
Quantity: You don't spend much time on each sentence. You'll look up grammar the best you can. You look up words too. But, if you get stuck you don't worry about it. You're trying to stay at or slightly above your ability level. Any part that's not, you just skip.
The important thing here is that you're moving on quickly. You don't worry about memorizing every word. If it comes up enough you'll start to remember it, after all. If you're at the right level, studying with sentences is an excellent way to get a lot of +1 feedback loops. The hard part is embracing the idea that "It's okay to move on. Quickly."
The great thing with this is that you'll start to see patterns, which is only possible when you focus on quantity. Seeing 500 sentences over the course of a month (quantity) is much different from seeing 500 sentences over the course of a year (quality). Patterns get too spread out to see when you take too long to move on to the next sentence.
Also, while we're buying into the Input Hypothesis, think of sentence studying in this way:
In a single sentence there might be one or two things that are a +1 to your current skill level (if you're lucky). There will also be things that are +5 and +10. If we're assuming that these things don't really help you to get better, then spending all that extra time on a sentence to figure out the +5 and +10 stuff isn't going to help you as much. If you brute force through a lot of sentences, you'll see a higher number of +1 improvements. In the long run, you're coming out way, way ahead. Then, when you finish, come back to the stuff you didn't understand. I think you'll find that the things that were +5 before are more like +1.
Kanji and sentences are just a couple of examples. If you think about your Japanese in this way, you'll see that it's true everywhere else you look too. If you want to get good at speaking… well, you should probably speak. A lot. Then do it some more. Don't get hung up on being perfect because it will slow you down (and make you scared to speak). This goes for reading, writing, listening, and every other aspect of Japanese learning. Think about what you're having trouble with right now. Does the cause have anything to do with your focus on quality instead of quantity?
Oh, That Immersion Thing?

• Next to the entry, the page also holds materials data:
+++
Theoretical PXRD pattern
Compound: Ba4Pt
Radiation: a wavelength of 1.5418 Å
Structure: a cell relaxed with PBE
Peak positions follow from Bragg's law for the DFT cell and can differ from measured ones.

Principal peaks in the range 10° ≤ 2θ ≤ 80°, sorted by position:
2θ = 11.3°, d = 7.836 Å, intensity 277
2θ = 18.5°, d = 4.798 Å, intensity 315
2θ = 22.7°, d = 3.918 Å, intensity 1000
2θ = 26.3°, d = 3.393 Å, intensity 214
2θ = 37.5°, d = 2.399 Å, intensity 757
2θ = 44.3°, d = 2.046 Å, intensity 504
2θ = 59.4°, d = 1.557 Å, intensity 210
2θ = 67.6°, d = 1.385 Å, intensity 269

Lattice parameters (Å, degrees): 9.597 9.597 9.597 60.00 60.00 60.00
Element x y z (fractional)
Ba (0.246, 0.751, 0.751)
Ba (0.249, 0.249, 0.249)
Ba (0.249, 0.249, 0.754)
Ba (0.249, 0.754, 0.249)
Ba (0.751, 0.246, 0.751)
Ba (0.751, 0.751, 0.246)
Ba (0.751, 0.751, 0.751)
Ba (0.754, 0.249, 0.249)
Pt (0.375, 0.375, 0.375)
Pt (0.625, 0.625, 0.625)

=====

Theoretical PXRD pattern
Compound: Mg5Bi
Radiation: a wavelength of 1.5418 Å
Structure: a cell relaxed with PBE
Peak positions follow from Bragg's law for the DFT cell and can differ from measured ones.

Principal peaks in the range 10° ≤ 2θ ≤ 80°, sorted by position:
2θ = 17.6°, d = 5.043 Å, intensity 1000
2θ = 24.9°, d = 3.569 Å, intensity 725
2θ = 30.7°, d = 2.909 Å, intensity 340
2θ = 35.6°, d = 2.523 Å, intensity 976
2θ = 39.9°, d = 2.257 Å, intensity 398
2θ = 47.7°, d = 1.907 Å, intensity 337
2θ = 51.2°, d = 1.783 Å, intensity 323
2θ = 66.9°, d = 1.399 Å, intensity 201

Lattice parameters (Å, degrees): 5.818 5.818 5.056 90.00 90.00 120.00
Element x y z (fractional)
Mg (0.000, 0.347, 0.000)
Mg (0.333, 0.667, 0.500)
Mg (0.347, 0.000, 0.000)
Mg (0.653, 0.653, 0.000)
Mg (0.667, 0.333, 0.500)
Bi (0.000, 0.000, 0.500)

=====

Theoretical PXRD pattern
Compound: Sc5Ga3
Radiation: a wavelength of 1.5418 Å
Structure: a cell relaxed with PBE
Peak positions follow from Bragg's law for the DFT cell and can differ from measured ones.

Principal peaks in the range 10° ≤ 2θ ≤ 80°, sorted by position:
2θ = 30.0°, d = 2.977 Å, intensity 290
2θ = 33.7°, d = 2.656 Å, intensity 210
2θ = 37.1°, d = 2.425 Å, intensity 1000
2θ = 37.5°, d = 2.400 Å, intensity 682
2θ = 38.4°, d = 2.342 Å, intensity 359
2θ = 49.2°, d = 1.852 Å, intensity 259
2θ = 58.0°, d = 1.590 Å, intensity 250
2θ = 74.7°, d = 1.271 Å, intensity 178

Lattice parameters (Å, degrees): 8.114 8.114 5.953 90.00 90.00 120.00
Element x y z (fractional)
Sc (0.000, 0.241, 0.250)
Sc (0.000, 0.759, 0.750)
Sc (0.241, 0.000, 0.250)
Sc (0.241, 0.241, 0.750)
Sc (0.333, 0.667, 0.000)
Sc (0.333, 0.667, 0.500)
Sc (0.667, 0.333, 0.000)
Sc (0.667, 0.333, 0.500)
Sc (0.759, 0.000, 0.750)
Sc (0.759, 0.759, 0.250)
Ga (0.000, 0.399, 0.750)
Ga (0.000, 0.601, 0.250)
Ga (0.399, 0.000, 0.750)
Ga (0.399, 0.399, 0.250)
Ga (0.601, 0.000, 0.250)
Ga (0.601, 0.601, 0.750)

=====

Theoretical PXRD pattern
Compound: Sr4Cl6O
Radiation: a wavelength of 1.5418 Å
Structure: a cell relaxed with PBE
+++

At this point you might be thinking about how to add quantity to your Japanese studying routine. What about immersion?
Well, immersion is just quantity over quality pushed to the extreme. You get so much friggin' input that you can't help but learn something. This is simply because you're getting a lot more +1 opportunities. It is the brute force of brute force strategies, and it works. There's a reason why most people say immersion is the best and easiest way to learn a new language.
But, immersion isn't realistic for many people. Whether that means creating an immersive environment for yourself or going to Japan to live there, that's usually not an option.
So we have to come up with a compromise… one that favors your Japanese progress. To do that, you must…
Find A Good Teacher

Between two parts of the article: records of crystals.
<<<
No. 1
The following is a theoretical X-ray diffraction stick pattern of Cs2KSb2. It was derived from DFT lattice parameters and positions (GGA-PBE), using Cu Ka.
Peak positions follow from Bragg's law for the DFT cell and can differ from measured ones.

Largest 10 diffraction maxima, most intense first, 2θ = 5–70°:
- 28.06°, rel. 1000
- 27.83°, rel. 637
- 29.69°, rel. 623
- 24.48°, rel. 449
- 41.14°, rel. 439
- 15.29°, rel. 380
- 25.04°, rel. 369
- 50.50°, rel. 301
- 30.78°, rel. 291
- 26.93°, rel. 283

Structural model:
a = 7.531 Å, b = 7.531 Å, c = 10.531 Å
α = 100.65°, β = 100.65°, γ = 60.42°
Fractional positions:
Cs (0.002, 0.697, 0.855)
Cs (0.303, 0.998, 0.645)
Cs (0.697, 0.002, 0.355)
Cs (0.998, 0.303, 0.145)
K (0.403, 0.597, 0.250)
K (0.597, 0.403, 0.750)
Sb (0.180, 0.511, 0.494)
Sb (0.489, 0.820, 0.006)
Sb (0.511, 0.180, 0.994)
Sb (0.820, 0.489, 0.506)

=====

No. 2
The following is a theoretical X-ray diffraction stick pattern of CsK4Sb4. It was derived from DFT lattice parameters and positions (GGA-PBE), using Cu Ka.
Peak positions follow from Bragg's law for the DFT cell and can differ from measured ones.

Largest 10 diffraction maxima, most intense first, 2θ = 5–70°:
- 24.72°, rel. 1000
- 16.70°, rel. 746
- 34.70°, rel. 648
- 14.76°, rel. 447
- 26.43°, rel. 422
- 38.23°, rel. 393
- 34.88°, rel. 390
- 21.51°, rel. 389
- 31.02°, rel. 332
- 22.07°, rel. 324

Structural model:
a = 11.390 Å, b = 11.390 Å, c = 7.060 Å
α = 90.00°, β = 90.00°, γ = 90.00°
Fractional positions:
Cs (0.250, 0.250, 0.250)
Cs (0.750, 0.750, 0.750)
K (0.099, 0.636, 0.113)
K (0.136, 0.901, 0.613)
K (0.364, 0.599, 0.613)
K (0.401, 0.864, 0.113)
K (0.599, 0.136, 0.887)
K (0.636, 0.401, 0.387)
K (0.864, 0.099, 0.387)
K (0.901, 0.364, 0.887)
Sb (0.046, 0.588, 0.610)
Sb (0.088, 0.954, 0.110)
Sb (0.412, 0.546, 0.110)
Sb (0.454, 0.912, 0.610)
Sb (0.546, 0.088, 0.390)
Sb (0.588, 0.454, 0.890)
Sb (0.912, 0.046, 0.890)
Sb (0.954, 0.412, 0.390)

=====

No. 3
The following is a theoretical X-ray diffraction stick pattern of Cs2KSb2. It was derived from DFT lattice parameters and positions (GGA-PBE), using Cu Ka.
Peak positions follow from Bragg's law for the DFT cell and can differ from measured ones.

Largest 10 diffraction maxima, most intense first, 2θ = 5–70°:
- 27.30°, rel. 1000
- 26.82°, rel. 793
- 27.63°, rel. 790
- 23.24°, rel. 450
- 28.96°, rel. 437
- 39.19°, rel. 365
- 24.19°, rel. 362
- 48.64°, rel. 230
- 28.19°, rel. 202
- 46.11°, rel. 197

Structural model:
a = 6.666 Å, b = 6.666 Å, c = 13.440 Å
α = 108.22°, β = 108.22°, γ = 57.92°
Fractional positions:
Cs (0.106, 0.106, 0.409)
Cs (0.305, 0.305, 0.774)
Cs (0.695, 0.695, 0.226)
Cs (0.894, 0.894, 0.591)
K (0.317, 0.317, 0.110)
K (0.683, 0.683, 0.890)
Sb (0.017, 0.017, 0.900)
Sb (0.422, 0.422, 0.393)
Sb (0.578, 0.578, 0.607)
Sb (0.983, 0.983, 0.100)

=====

No. 4
>>>

I'm not necessarily talking about someone who stands up at the front of a classroom or sits across a table from you, though sometimes that will be true. I'm also including "you" in this list. And textbooks. And the raving posts of Japanese learners on various message boards. Teachers comes in many different shapes, sizes, and bytes.
But, there is a good way to figure out which ones are good and which ones aren't. It comes down to quantity over quality and how they go about applying this to your studies.
A good teacher won't make you perfect. They'll know what is out of reach and instead focus on the things that will incrementally make you better (+1).
A bad teacher will focus on perfectionism. This will make you neurotic. It will make you too worried to make a mistake. You'll slowly focus on trying to figure out how to not screw up, which will usually result in you speaking and using Japanese less and less. You'll try to make a few things perfect but everything else will be nonexistent.
A good teacher will let you make mistakes, and lots of them. As Michael Jordan once said: "I've missed more than 9000 shots in my career. I've lost almost 300 games. 26 times, I've been trusted to take the game winning shot and missed. I've failed over and over and over again in my life. And that is why I succeed." Mistakes are an important part of learning, and if you don't make enough of them you can't get better. Actually, many studies show that mistakes in grammar are actually just a part of the learning process. They're a step on a set of stairs. Without them you can't move up.
A good teacher will be smart about the quantity they give you. It should be the thing you need to level up, not just a bunch of stuff for the sake of being a bunch of stuff. Quantity is good, but it stops being useful when there are very few +1 opportunities inside.
A bad teacher will tell you to learn something "because that's how it's always been done." This will often be +10 above your ability level. You'll hear things like "Just learn it!" but there won't be any reason behind it. It won't be broken down into +1 pieces. As a beginner, it's really hard to break something up into +1 sized chunks. That's the teacher's job, at least until you get a little better at this whole "learning Japanese" thing. When this happens, you spend a lot of time trying to figure out this +10 task when you could have been spending the same amount of time making 100x +1 progress.
A good teacher makes you comfortable to use your Japanese more. To do this, they have to make you feel less bad about messing up. If they can do this, you'll use your Japanese a lot more, get better, and be fluent in Japanese faster. This is the biggest difference between a quantity and quality focused teacher.
The list goes on and on, I'm sure. Being able to know when and how much quantity you should apply to your studies is difficult. To figure it out, you have to try a lot of different things sometimes. A good way is to ask the pros what they wish they did more of when they were first starting out. With Japanese, I think a lot of people might say something like "I wish I knew more kanji". In this way it's easy to identify what you should get a lot of.
How do you apply quantity to your Japanese studies? Or better yet, where can you do a better job applying quantity instead of obsessing on quality? I'm sure many other people will completely disagree with all of this as well, so send us some tweets with your opinions.